What is needed: repeat every line further down that contains the word "coordinates".

First-principles (PBE-GGA) data for a relaxed MgMo3Se4 crystal, as listed in Materials Project.

Output
Total magnetic moment in μB per cell: 0.00
MP2020-corrected energy in eV per atom: -6.897
E_form in eV per atom: -0.882

Unit cell a=9.3071 b=9.4932 c=9.6919 alpha=66.54 beta=64.89 gamma=65.37
Closest atoms and distances in Å follow each position.
Atoms (fractional coordinates):
Mg: 0.1324 0.2217 0.3212  4 Se 2.60-2.63
Mg: 0.2796 0.7238 0.2356  4 Se 2.59-2.77
Mg: 0.7204 0.2762 0.7644  4 Se 2.59-2.77
Mg: 0.8676 0.7783 0.6788  4 Se 2.60-2.63
Mo: 0.0524 0.1872 0.8605  5 Se 2.60-2.73, 4 Mo 2.66-2.70
Mo: 0.1400 0.4396 0.8174  5 Se 2.58-2.75, 4 Mo 2.66-2.71
Mo: 0.1836 0.3539 0.5636  5 Se 2.59-2.86, 4 Mo 2.67-2.71
Mo: 0.3130 0.1432 0.9376  5 Se 2.59-2.88, 4 Mo 2.66-2.72
Mo: 0.3613 0.0569 0.6817  5 Se 2.58-2.76, 4 Mo 2.67-2.72
Mo: 0.4453 0.3110 0.6402  5 Se 2.59-2.77, 4 Mo 2.67-2.71
Mo: 0.5547 0.6890 0.3598  5 Se 2.59-2.77, 4 Mo 2.67-2.71
Mo: 0.6387 0.9431 0.3183  5 Se 2.58-2.76, 4 Mo 2.67-2.72
Mo: 0.6870 0.8568 0.0624  5 Se 2.59-2.88, 4 Mo 2.66-2.72
Mo: 0.8164 0.6461 0.4364  5 Se 2.59-2.86, 4 Mo 2.67-2.71
Mo: 0.8600 0.5604 0.1826  5 Se 2.58-2.75, 4 Mo 2.66-2.71
Mo: 0.9476 0.8128 0.1395  5 Se 2.60-2.73, 4 Mo 2.66-2.70
Se: 0.0048 0.2728 0.1034  4 Mo 2.60-2.75, 1 Mg 2.63
Se: 0.0969 0.0949 0.6212  1 Mg 2.60, 3 Mo 2.61-2.68
Se: 0.1205 0.5181 0.2660  2 Mg 2.61-2.77, 4 Mo 2.64-2.86
Se: 0.2347 0.8954 0.9645  4 Mo 2.58-2.73, 1 Mg 2.59
Se: 0.2628 0.6059 0.5335  4 Mo 2.60-2.77, 1 Mg 2.61
Se: 0.3835 0.9796 0.2340  1 Mg 2.62, 4 Mo 2.63-2.88
Se: 0.3944 0.3913 0.8937  3 Mo 2.58-2.65, 1 Mg 2.66
Se: 0.4828 0.2310 0.3978  4 Mo 2.59-2.76
Se: 0.5172 0.7690 0.6022  4 Mo 2.59-2.76
Se: 0.6056 0.6087 0.1063  3 Mo 2.58-2.65, 1 Mg 2.66
Se: 0.6165 0.0204 0.7660  1 Mg 2.62, 4 Mo 2.63-2.88
Se: 0.7372 0.3941 0.4665  4 Mo 2.60-2.77, 1 Mg 2.61
Se: 0.7653 0.1046 0.0355  4 Mo 2.58-2.73, 1 Mg 2.59
Se: 0.8795 0.4819 0.7340  2 Mg 2.61-2.77, 4 Mo 2.64-2.86
Se: 0.9031 0.9051 0.3788  1 Mg 2.60, 3 Mo 2.61-2.68
Se: 0.9952 0.7272 0.8966  4 Mo 2.60-2.75, 1 Mg 2.63

---

First-principles (PBE-GGA) data for a relaxed MgMo6Se8 crystal, as listed in Materials Project.

Output
Total magnetic moment in μB per cell: 0.01
MP2020-corrected energy in eV per atom: -7.145
Offset from the most stable computed form in meV/atom: 0
E_form in eV per atom: -0.835

Unit cell a=6.8377 b=6.8558 c=13.6624 alpha=90.79 beta=94.34 gamma=94.47
Closest atoms and distances in Å follow each position.
Atoms (fractional coordinates):
Mg: 0.1167 0.4168 0.2484  5 Se 2.59-2.87
Mg: 0.8833 0.5832 0.7516  5 Se 2.59-2.87
Mo: 0.2307 0.9112 0.0215  5 Se 2.55-2.71, 4 Mo 2.67-2.77
Mo: 0.2362 0.9133 0.5234  5 Se 2.56-2.74, 4 Mo 2.70-2.75
Mo: 0.4130 0.0516 0.8684  5 Se 2.59-2.71, 4 Mo 2.67-2.76
Mo: 0.4172 0.0521 0.3671  5 Se 2.55-2.70, 4 Mo 2.70-2.75
Mo: 0.4563 0.2659 0.0406  5 Se 2.55-2.76, 4 Mo 2.70-2.77
Mo: 0.4570 0.2665 0.5399  5 Se 2.57-2.74, 4 Mo 2.70-2.75
Mo: 0.5430 0.7335 0.4601  5 Se 2.57-2.74, 4 Mo 2.70-2.75
Mo: 0.5437 0.7341 0.9594  5 Se 2.55-2.76, 4 Mo 2.70-2.77
Mo: 0.5828 0.9479 0.6329  5 Se 2.55-2.70, 4 Mo 2.70-2.75
Mo: 0.5870 0.9484 0.1316  5 Se 2.59-2.71, 4 Mo 2.67-2.76
Mo: 0.7638 0.0867 0.4766  5 Se 2.56-2.74, 4 Mo 2.70-2.75
Mo: 0.7693 0.0888 0.9785  5 Se 2.55-2.71, 4 Mo 2.67-2.77
Se: 0.1286 0.2384 0.4336  4 Mo 2.57-2.74, 1 Mg 2.82
Se: 0.1317 0.2340 0.9351  4 Mo 2.55-2.71
Se: 0.2079 0.7269 0.3582  3 Mo 2.55-2.59, 1 Mg 2.59
Se: 0.2114 0.7156 0.8589  3 Mo 2.56-2.59, 1 Mg 2.67
Se: 0.2686 0.1091 0.1817  4 Mo 2.55-2.70, 1 Mg 2.61
Se: 0.2717 0.1194 0.6826  4 Mo 2.56-2.71
Se: 0.3705 0.6199 0.1185  4 Mo 2.59-2.76, 1 Mg 2.87
Se: 0.3749 0.6189 0.6183  4 Mo 2.57-2.74
Se: 0.6251 0.3811 0.3817  4 Mo 2.57-2.74
Se: 0.6295 0.3801 0.8815  4 Mo 2.59-2.76, 1 Mg 2.87
Se: 0.7283 0.8806 0.3174  4 Mo 2.56-2.71
Se: 0.7314 0.8909 0.8183  4 Mo 2.55-2.70, 1 Mg 2.61
Se: 0.7886 0.2844 0.1411  3 Mo 2.56-2.59, 1 Mg 2.67
Se: 0.7921 0.2731 0.6418  3 Mo 2.55-2.59, 1 Mg 2.59
Se: 0.8683 0.7660 0.0649  4 Mo 2.55-2.71

Atoms (fractional coordinates):
Atoms (fractional coordinates):